## Entries
[1]
123
Properties=species:S:1:pos:R:3:mulliken_charge:R:1 method="wB97M-V/def2-TZVPD" total_charge=+2
C -3.9095 -1.0199 2.6278 -1.8432
C -2.8905 -2.0815 2.9831 3.1412
C -2.0948 -1.5593 4.1720 -1.2887
O -1.2355 -0.6052 3.6169 0.2303
C -0.7711 0.3642 4.5637 -1.0653
N -3.5831 -3.3251 3.4135 -0.7365
H -2.2441 -4.6943 2.9097 0.2534
H -4.1529 -3.3034 4.2680 0.2600
H -4.2545 -3.3795 2.6836 0.2492
H -4.3705 -1.3004 1.6862 0.4639
H -3.3743 -0.1056 2.4445 0.3297
H -4.6293 -1.0377 3.4596 0.5113
H -2.2171 -2.3215 2.1780 -1.7093
H -1.4402 -2.3727 4.5402 0.2214
H -2.6231 -1.0269 4.9575 0.7407
H -1.6487 0.9550 4.8291 0.3279
H -0.1239 1.0801 4.0344 0.1493
H -0.4142 -0.0852 5.4873 0.4448
C 6.3694 2.3102 -2.5504 -0.9147
N 5.3465 2.6038 -1.5223 0.1264
C 6.0036 3.2960 -0.4773 -0.8172
C 4.1865 3.3303 -2.0354 -0.9387
C 4.7598 1.2840 -1.0402 -0.3386
C 4.3078 0.4384 -2.2324 -1.0886
O 3.0596 0.8027 -2.7943 -0.5987
H 6.9912 1.5598 -2.0368 0.3820
H 6.9685 3.2766 -2.7599 0.3434
H 5.9483 2.0137 -3.4909 0.3720
H 6.2740 4.3264 -0.7619 0.3540
H 6.9138 2.7548 -0.1205 0.3410
H 5.2831 3.2953 0.3319 0.3447
H 3.7213 2.8002 -2.8087 0.4691
H 4.5388 4.2837 -2.4512 0.4191
H 3.5402 3.5834 -1.2101 0.3871
H 3.9511 1.4687 -0.3231 0.0290
H 5.4990 0.7826 -0.4147 0.5564
H 4.2491 -0.5680 -1.7836 0.1734
H 5.0387 0.3034 -2.9794 0.8409
H 2.5281 1.0863 -1.9591 0.4566
C 1.0974 -2.4488 -2.4888 -0.5065
N -0.0830 -1.5345 -2.6802 0.6394
C 0.2280 -0.2368 -3.3932 -0.4558
C -1.0535 -2.2882 -3.5987 -0.9733
C -0.5954 -1.1122 -1.3414 -0.0681
C -1.3849 -2.0322 -0.5155 0.4734
O -0.6565 -3.0903 0.0788 -0.5493
H 0.7895 -3.2786 -1.7817 0.2548
H 1.9246 -1.8540 -2.0913 0.0191
H 1.4840 -2.9332 -3.4234 0.3417
H 0.9985 -0.2385 -4.1317 0.4094
H 0.5988 0.4310 -2.5681 -0.0606
H -0.7032 0.0403 -3.9469 0.3551
H -0.4980 -2.4293 -4.5312 0.4346
H -2.0317 -1.7637 -3.6027 0.2098
H -1.2394 -3.2223 -3.1803 0.4429
H -1.2200 -0.2477 -1.6034 0.1289
H 0.2549 -0.8019 -0.7670 -0.9156
H -2.1765 -2.3974 -1.1335 0.2780
H -1.8021 -1.3638 0.2213 -0.2379
H -1.1533 -3.6683 0.7042 0.1502
C -2.2886 3.9737 -3.1001 -1.0028
N -3.5174 4.6912 -2.6241 0.0988
C -3.8585 4.1405 -1.2259 -0.6980
C -3.1185 6.1485 -2.3605 -1.0178
C -4.6895 4.5640 -3.5421 -0.3935
C -4.5754 5.2743 -4.9365 -0.7528
O -3.9236 4.5245 -5.8984 -0.4920
H -1.8072 4.4347 -3.9471 0.3148
H -2.4832 2.9176 -3.2582 0.2393
H -1.5377 4.0035 -2.2426 0.5349
H -4.1171 3.0598 -1.2418 0.1293
H -4.6563 4.8496 -0.8878 0.4420
H -3.0465 4.3163 -0.5493 0.3463
H -4.0437 6.7507 -2.2794 0.3621
H -2.4124 6.4666 -3.0809 0.4224
H -2.5688 6.1042 -1.4559 0.4334
H -5.4966 5.0009 -3.0206 0.5049
H -4.9382 3.4990 -3.6099 0.3789
H -4.0846 6.1580 -4.7359 0.3769
H -5.5851 5.6061 -5.2314 0.3652
H -4.5010 3.8039 -6.2223 0.3787
C 3.5774 -2.5910 1.8839 -0.8811
N 2.4604 -2.5048 2.8158 0.5846
C 1.1380 -2.5371 2.0262 -0.3941
C 2.4000 -3.6589 3.6624 -0.9253
C 2.4744 -1.2209 3.5730 0.4545
C 3.6798 -0.9632 4.4526 -0.7778
O 3.4760 -1.8480 5.5561 -0.5646
H 3.5318 -3.5113 1.3608 0.4292
H 4.5178 -2.5181 2.3254 0.4439
H 3.4866 -1.7399 1.1352 0.1127
H 1.1726 -3.4718 1.5149 0.4961
H 1.2438 -1.7669 1.2682 -0.2376
H 0.2946 -2.3255 2.7476 0.1213
H 1.4433 -3.6957 4.1872 0.2934
H 3.2111 -3.7884 4.3589 0.3791
H 2.3269 -4.6099 3.0830 0.4573
H 1.5344 -1.1616 4.0852 0.2252
H 2.4354 -0.4324 2.7924 -0.2553
H 3.6234 0.1030 4.7510 0.4057
H 4.6603 -1.0945 4.0012 0.3234
H 4.2548 -1.8503 6.1298 0.3493
C -1.4693 -6.5674 4.0801 -1.3065
C -0.6130 -5.8064 3.0198 0.7858
O -1.2941 -4.7251 2.4914 -0.4387
O 0.4404 -6.1665 2.6756 -0.4969
H -0.8643 -7.2492 4.7250 0.3440
H -2.2566 -7.1772 3.6402 0.3524
H -1.9588 -5.8382 4.7217 0.3830
C 0.1355 1.6748 0.9116 -0.3828
C 1.3823 1.1663 0.1103 0.6543
O 2.1236 0.2948 0.5927 -0.5223
O 1.5408 1.6659 -1.0507 -0.8502
H -0.1123 2.7411 0.6887 0.3168
H 0.3747 1.5659 1.9950 -0.0915
H -0.7130 1.0224 0.6676 -0.0130
C -4.4900 -0.8538 -2.1447 -1.1299
C -3.5551 0.3589 -2.2477 1.1532
O -3.2130 0.8234 -1.1453 -0.6739
O -3.1306 0.7009 -3.3711 -0.7872
H -4.0784 -1.6316 -1.4604 0.0073

## Wanted
Echo all of the entries earlier on without altering anything.

## Solution
[1]
123
Properties=species:S:1:pos:R:3:mulliken_charge:R:1 method="wB97M-V/def2-TZVPD" total_charge=+2
C -3.9095 -1.0199 2.6278 -1.8432
C -2.8905 -2.0815 2.9831 3.1412
C -2.0948 -1.5593 4.1720 -1.2887
O -1.2355 -0.6052 3.6169 0.2303
C -0.7711 0.3642 4.5637 -1.0653
N -3.5831 -3.3251 3.4135 -0.7365
H -2.2441 -4.6943 2.9097 0.2534
H -4.1529 -3.3034 4.2680 0.2600
H -4.2545 -3.3795 2.6836 0.2492
H -4.3705 -1.3004 1.6862 0.4639
H -3.3743 -0.1056 2.4445 0.3297
H -4.6293 -1.0377 3.4596 0.5113
H -2.2171 -2.3215 2.1780 -1.7093
H -1.4402 -2.3727 4.5402 0.2214
H -2.6231 -1.0269 4.9575 0.7407
H -1.6487 0.9550 4.8291 0.3279
H -0.1239 1.0801 4.0344 0.1493
H -0.4142 -0.0852 5.4873 0.4448
C 6.3694 2.3102 -2.5504 -0.9147
N 5.3465 2.6038 -1.5223 0.1264
C 6.0036 3.2960 -0.4773 -0.8172
C 4.1865 3.3303 -2.0354 -0.9387
C 4.7598 1.2840 -1.0402 -0.3386
C 4.3078 0.4384 -2.2324 -1.0886
O 3.0596 0.8027 -2.7943 -0.5987
H 6.9912 1.5598 -2.0368 0.3820
H 6.9685 3.2766 -2.7599 0.3434
H 5.9483 2.0137 -3.4909 0.3720
H 6.2740 4.3264 -0.7619 0.3540
H 6.9138 2.7548 -0.1205 0.3410
H 5.2831 3.2953 0.3319 0.3447
H 3.7213 2.8002 -2.8087 0.4691
H 4.5388 4.2837 -2.4512 0.4191
H 3.5402 3.5834 -1.2101 0.3871
H 3.9511 1.4687 -0.3231 0.0290
H 5.4990 0.7826 -0.4147 0.5564
H 4.2491 -0.5680 -1.7836 0.1734
H 5.0387 0.3034 -2.9794 0.8409
H 2.5281 1.0863 -1.9591 0.4566
C 1.0974 -2.4488 -2.4888 -0.5065
N -0.0830 -1.5345 -2.6802 0.6394
C 0.2280 -0.2368 -3.3932 -0.4558
C -1.0535 -2.2882 -3.5987 -0.9733
C -0.5954 -1.1122 -1.3414 -0.0681
C -1.3849 -2.0322 -0.5155 0.4734
O -0.6565 -3.0903 0.0788 -0.5493
H 0.7895 -3.2786 -1.7817 0.2548
H 1.9246 -1.8540 -2.0913 0.0191
H 1.4840 -2.9332 -3.4234 0.3417
H 0.9985 -0.2385 -4.1317 0.4094
H 0.5988 0.4310 -2.5681 -0.0606
H -0.7032 0.0403 -3.9469 0.3551
H -0.4980 -2.4293 -4.5312 0.4346
H -2.0317 -1.7637 -3.6027 0.2098
H -1.2394 -3.2223 -3.1803 0.4429
H -1.2200 -0.2477 -1.6034 0.1289
H 0.2549 -0.8019 -0.7670 -0.9156
H -2.1765 -2.3974 -1.1335 0.2780
H -1.8021 -1.3638 0.2213 -0.2379
H -1.1533 -3.6683 0.7042 0.1502
C -2.2886 3.9737 -3.1001 -1.0028
N -3.5174 4.6912 -2.6241 0.0988
C -3.8585 4.1405 -1.2259 -0.6980
C -3.1185 6.1485 -2.3605 -1.0178
C -4.6895 4.5640 -3.5421 -0.3935
C -4.5754 5.2743 -4.9365 -0.7528
O -3.9236 4.5245 -5.8984 -0.4920
H -1.8072 4.4347 -3.9471 0.3148
H -2.4832 2.9176 -3.2582 0.2393
H -1.5377 4.0035 -2.2426 0.5349
H -4.1171 3.0598 -1.2418 0.1293
H -4.6563 4.8496 -0.8878 0.4420
H -3.0465 4.3163 -0.5493 0.3463
H -4.0437 6.7507 -2.2794 0.3621
H -2.4124 6.4666 -3.0809 0.4224
H -2.5688 6.1042 -1.4559 0.4334
H -5.4966 5.0009 -3.0206 0.5049
H -4.9382 3.4990 -3.6099 0.3789
H -4.0846 6.1580 -4.7359 0.3769
H -5.5851 5.6061 -5.2314 0.3652
H -4.5010 3.8039 -6.2223 0.3787
C 3.5774 -2.5910 1.8839 -0.8811
N 2.4604 -2.5048 2.8158 0.5846
C 1.1380 -2.5371 2.0262 -0.3941
C 2.4000 -3.6589 3.6624 -0.9253
C 2.4744 -1.2209 3.5730 0.4545
C 3.6798 -0.9632 4.4526 -0.7778
O 3.4760 -1.8480 5.5561 -0.5646
H 3.5318 -3.5113 1.3608 0.4292
H 4.5178 -2.5181 2.3254 0.4439
H 3.4866 -1.7399 1.1352 0.1127
H 1.1726 -3.4718 1.5149 0.4961
H 1.2438 -1.7669 1.2682 -0.2376
H 0.2946 -2.3255 2.7476 0.1213
H 1.4433 -3.6957 4.1872 0.2934
H 3.2111 -3.7884 4.3589 0.3791
H 2.3269 -4.6099 3.0830 0.4573
H 1.5344 -1.1616 4.0852 0.2252
H 2.4354 -0.4324 2.7924 -0.2553
H 3.6234 0.1030 4.7510 0.4057
H 4.6603 -1.0945 4.0012 0.3234
H 4.2548 -1.8503 6.1298 0.3493
C -1.4693 -6.5674 4.0801 -1.3065
C -0.6130 -5.8064 3.0198 0.7858
O -1.2941 -4.7251 2.4914 -0.4387
O 0.4404 -6.1665 2.6756 -0.4969
H -0.8643 -7.2492 4.7250 0.3440
H -2.2566 -7.1772 3.6402 0.3524
H -1.9588 -5.8382 4.7217 0.3830
C 0.1355 1.6748 0.9116 -0.3828
C 1.3823 1.1663 0.1103 0.6543
O 2.1236 0.2948 0.5927 -0.5223
O 1.5408 1.6659 -1.0507 -0.8502
H -0.1123 2.7411 0.6887 0.3168
H 0.3747 1.5659 1.9950 -0.0915
H -0.7130 1.0224 0.6676 -0.0130
C -4.4900 -0.8538 -2.1447 -1.1299
C -3.5551 0.3589 -2.2477 1.1532
O -3.2130 0.8234 -1.1453 -0.6739
O -3.1306 0.7009 -3.3711 -0.7872
H -4.0784 -1.6316 -1.4604 0.0073